**Excerpt**
(A)
An optimized crystal structure of Li4YP, computed with PBE-GGA.

## Properties
**ρ**: 2122 kg/m3

a = 5.4786 Å, b = 7.8237 Å, c = 7.0151 Å
α = 90.00°, β = 129.78°, γ = 90.00°
Space group P2/c (No. 13)
Symmetry-distinct sites (fractional):
Li  0.0017  0.1890  0.0589 x4
Li  0.3634  0.1407  0.9307 x4
Y  0.5000  0.5003  0.2500 x2
P  0.0000  0.3934  0.7500 x2

***

(B)
An optimized crystal structure of Li4YP, computed with PBE-GGA.

## Properties
**ρ**: 2273 kg/m3

a = 7.5564 Å, b = 7.5564 Å, c = 7.5564 Å
α = 90.00°, β = 90.00°, γ = 90.00°
Space group F-43m (No. 216)
Symmetry-distinct sites (fractional):
Li  0.1235  0.1235  0.1235 x16
Y  0.0000  0.0000  0.5000 x4
P  0.2500  0.2500  0.7500 x4

***

(C)
An optimized crystal structure of Li4YP, computed with PBE-GGA.

## Properties
**ρ**: 2333 kg/m3

a = 4.5610 Å, b = 4.5610 Å, c = 5.8337 Å
α = 90.00°, β = 90.00°, γ = 120.00°
Space group P6/mmm (No. 191)
Symmetry-distinct sites (fractional):
Li  0.3333  0.6667  0.2136 x4
Y  0.0000  0.0000  0.5000 x1
P  0.0000  0.0000  0.0000 x1

***

Tell me which of them is the most stable. Sure, it is (A).

***

(A)
An optimized crystal structure of LiZn3P, computed with PBE-GGA.

## Properties
**ρ**: 3534 kg/m3

a = 4.7919 Å, b = 4.7919 Å, c = 4.7919 Å
α = 90.00°, β = 90.00°, γ = 90.00°
Space group Pm-3m (No. 221)
Symmetry-distinct sites (fractional):
Li  0.0000  0.0000  0.0000 x1
Zn  0.0000  0.5000  0.5000 x3
P  0.5000  0.5000  0.5000 x1

***

(B)
An optimized crystal structure of LiZn3P, computed with PBE-GGA.

## Properties
**ρ**: 4451 kg/m3

a = 4.4371 Å, b = 4.4371 Å, c = 4.4371 Å
α = 90.00°, β = 90.00°, γ = 90.00°
Space group Pm-3m (No. 221)
Symmetry-distinct sites (fractional):
Li  0.0000  0.0000  0.0000 x1
Zn  0.0000  0.0000  0.5000 x3
P  0.5000  0.5000  0.5000 x1

***

Tell me which of them is the most stable. Sure, it is (A).

***

(A)
An optimized crystal structure of LiZrP3, computed with PBE-GGA.

## Properties
**ρ**: 3884 kg/m3

a = 4.3393 Å, b = 4.3393 Å, c = 4.3393 Å
α = 90.00°, β = 90.00°, γ = 90.00°
Space group Pm-3m (No. 221)
Symmetry-distinct sites (fractional):
Li  0.0000  0.0000  0.0000 x1
Zr  0.5000  0.5000  0.5000 x1
P  0.0000  0.0000  0.5000 x3

***

(B)
An optimized crystal structure of LiZrP3, computed with PBE-GGA.

## Properties
**ρ**: 2485 kg/m3

a = 5.0357 Å, b = 5.0357 Å, c = 5.0357 Å
α = 90.00°, β = 90.00°, γ = 90.00°
Space group Pm-3m (No. 221)
Symmetry-distinct sites (fractional):
Li  0.0000  0.0000  0.0000 x1
Zr  0.5000  0.5000  0.5000 x1
P  0.0000  0.5000  0.5000 x3

***

Tell me which of them is the most stable. Sure, it is (B).

***

(A)
An optimized crystal structure of LiPaPd5, computed with PBE-GGA.

## Properties
**ρ**: 7364 kg/m3

a = 5.4408 Å, b = 9.0413 Å, c = 7.0600 Å
α = 90.00°, β = 90.00°, γ = 90.00°
Space group Imm2 (No. 44)
Symmetry-distinct sites (fractional):
Li  0.0000  0.0000  0.0000 x2
Pa  0.0000  0.5000  0.8602 x2
Pd  0.0000  0.2546  0.6980 x4
Pd  0.0000  0.5000  0.4874 x2
Pd  0.2469  0.0000  0.6614 x4

***

(B)
An optimized crystal structure of LiPaPd5, computed with PBE-GGA.

## Properties
**ρ**: 10232 kg/m3

a = 5.6910 Å, b = 7.7789 Å, c = 5.6462 Å
α = 90.00°, β = 90.00°, γ = 90.00°
Space group Cmmm (No. 65)
Symmetry-distinct sites (fractional):
Li  0.0000  0.0000  0.0000 x2
Pa  0.0000  0.5000  0.5000 x2
Pd  0.0000  0.0000  0.5000 x2
Pd  0.2500  0.2500  0.2380 x8

***

Tell me which of them is the most stable. Sure, it is (B).

***

(A)
An optimized crystal structure of LiPa2Pd8, computed with PBE-GGA.

## Properties
**ρ**: 11070 kg/m3

a = 7.0716 Å, b = 13.6563 Å, c = 4.4844 Å
α = 90.00°, β = 113.84°, γ = 90.00°
Space group C2/m (No. 12)
Symmetry-distinct sites (fractional):
Li  0.0000  0.0000  0.0000 x2
Pa  0.0000  0.3095  0.5000 x4
Pd  0.0000  0.1863  0.0000 x4
Pd  0.1166  0.5000  0.8114 x4
Pd  0.2147  0.1059  0.6313 x8

***

(B)
An optimized crystal structure of LiPa2Pd8, computed with PBE-GGA.

## Properties
**ρ**: 11122 kg/m3

a = 4.0666 Å, b = 8.1457 Å, c = 11.9018 Å

**Job**
Next, restate the whole of the contents further up unchanged.

**Outcome**
(A)
An optimized crystal structure of Li4YP, computed with PBE-GGA.

## Properties
**ρ**: 2122 kg/m3

a = 5.4786 Å, b = 7.8237 Å, c = 7.0151 Å
α = 90.00°, β = 129.78°, γ = 90.00°
Space group P2/c (No. 13)
Symmetry-distinct sites (fractional):
Li  0.0017  0.1890  0.0589 x4
Li  0.3634  0.1407  0.9307 x4
Y  0.5000  0.5003  0.2500 x2
P  0.0000  0.3934  0.7500 x2

***

(B)
An optimized crystal structure of Li4YP, computed with PBE-GGA.

## Properties
**ρ**: 2273 kg/m3

a = 7.5564 Å, b = 7.5564 Å, c = 7.5564 Å
α = 90.00°, β = 90.00°, γ = 90.00°
Space group F-43m (No. 216)
Symmetry-distinct sites (fractional):
Li  0.1235  0.1235  0.1235 x16
Y  0.0000  0.0000  0.5000 x4
P  0.2500  0.2500  0.7500 x4

***

(C)
An optimized crystal structure of Li4YP, computed with PBE-GGA.

## Properties
**ρ**: 2333 kg/m3

a = 4.5610 Å, b = 4.5610 Å, c = 5.8337 Å
α = 90.00°, β = 90.00°, γ = 120.00°
Space group P6/mmm (No. 191)
Symmetry-distinct sites (fractional):
Li  0.3333  0.6667  0.2136 x4
Y  0.0000  0.0000  0.5000 x1
P  0.0000  0.0000  0.0000 x1

***

Tell me which of them is the most stable. Sure, it is (A).

***

(A)
An optimized crystal structure of LiZn3P, computed with PBE-GGA.

## Properties
**ρ**: 3534 kg/m3

a = 4.7919 Å, b = 4.7919 Å, c = 4.7919 Å
α = 90.00°, β = 90.00°, γ = 90.00°
Space group Pm-3m (No. 221)
Symmetry-distinct sites (fractional):
Li  0.0000  0.0000  0.0000 x1
Zn  0.0000  0.5000  0.5000 x3
P  0.5000  0.5000  0.5000 x1

***

(B)
An optimized crystal structure of LiZn3P, computed with PBE-GGA.

## Properties
**ρ**: 4451 kg/m3

a = 4.4371 Å, b = 4.4371 Å, c = 4.4371 Å
α = 90.00°, β = 90.00°, γ = 90.00°
Space group Pm-3m (No. 221)
Symmetry-distinct sites (fractional):
Li  0.0000  0.0000  0.0000 x1
Zn  0.0000  0.0000  0.5000 x3
P  0.5000  0.5000  0.5000 x1

***

Tell me which of them is the most stable. Sure, it is (A).

***

(A)
An optimized crystal structure of LiZrP3, computed with PBE-GGA.

## Properties
**ρ**: 3884 kg/m3

a = 4.3393 Å, b = 4.3393 Å, c = 4.3393 Å
α = 90.00°, β = 90.00°, γ = 90.00°
Space group Pm-3m (No. 221)
Symmetry-distinct sites (fractional):
Li  0.0000  0.0000  0.0000 x1
Zr  0.5000  0.5000  0.5000 x1
P  0.0000  0.0000  0.5000 x3

***

(B)
An optimized crystal structure of LiZrP3, computed with PBE-GGA.

## Properties
**ρ**: 2485 kg/m3

a = 5.0357 Å, b = 5.0357 Å, c = 5.0357 Å
α = 90.00°, β = 90.00°, γ = 90.00°
Space group Pm-3m (No. 221)
Symmetry-distinct sites (fractional):
Li  0.0000  0.0000  0.0000 x1
Zr  0.5000  0.5000  0.5000 x1
P  0.0000  0.5000  0.5000 x3

***

Tell me which of them is the most stable. Sure, it is (B).

***

(A)
An optimized crystal structure of LiPaPd5, computed with PBE-GGA.

## Properties
**ρ**: 7364 kg/m3

a = 5.4408 Å, b = 9.0413 Å, c = 7.0600 Å
α = 90.00°, β = 90.00°, γ = 90.00°
Space group Imm2 (No. 44)
Symmetry-distinct sites (fractional):
Li  0.0000  0.0000  0.0000 x2
Pa  0.0000  0.5000  0.8602 x2
Pd  0.0000  0.2546  0.6980 x4
Pd  0.0000  0.5000  0.4874 x2
Pd  0.2469  0.0000  0.6614 x4

***

(B)
An optimized crystal structure of LiPaPd5, computed with PBE-GGA.

## Properties
**ρ**: 10232 kg/m3

a = 5.6910 Å, b = 7.7789 Å, c = 5.6462 Å
α = 90.00°, β = 90.00°, γ = 90.00°
Space group Cmmm (No. 65)
Symmetry-distinct sites (fractional):
Li  0.0000  0.0000  0.0000 x2
Pa  0.0000  0.5000  0.5000 x2
Pd  0.0000  0.0000  0.5000 x2
Pd  0.2500  0.2500  0.2380 x8

***

Tell me which of them is the most stable. Sure, it is (B).

***

(A)
An optimized crystal structure of LiPa2Pd8, computed with PBE-GGA.

## Properties
**ρ**: 11070 kg/m3

a = 7.0716 Å, b = 13.6563 Å, c = 4.4844 Å
α = 90.00°, β = 113.84°, γ = 90.00°
Space group C2/m (No. 12)
Symmetry-distinct sites (fractional):
Li  0.0000  0.0000  0.0000 x2
Pa  0.0000  0.3095  0.5000 x4
Pd  0.0000  0.1863  0.0000 x4
Pd  0.1166  0.5000  0.8114 x4
Pd  0.2147  0.1059  0.6313 x8

***

(B)
An optimized crystal structure of LiPa2Pd8, computed with PBE-GGA.

## Properties
**ρ**: 11122 kg/m3

a = 4.0666 Å, b = 8.1457 Å, c = 11.9018 Å